I'm back! Sup guys! Here comes the sequel to 'Who To Trust'. It takes place at the end of the season finale, but for those who don't watch DreamWorks Dragons, the Outcasts are bad guys that are trying to train dragons and they are violent and are really annoying. Alvin is their leader.

Enough chitchat, let get on with the story.

Disclaimer: I do not own anything except Raven and the plot.

Chapter One

When It All Starts

It has been three months since Toothless and I were declared mates. Everybody was so happy, though I swore I saw Gobber wink at Stoick. But it didn't bother me much. And that doesn't mean I've changed my personality.

The rest of the gang has mates already. Not to mention kids. The prospect of having mini Night Furies all around makes me feel weird. Toothless hasn't brought up the subject, and I'm grateful for that. I don't think I'm quite ready for that. It's not like we're in a rush or anything. It can wait a few months… or years.

I sit on the roof patiently waiting for Toothless and the gang to come. Toothless and Hiccup left to go and gather them for the morning sky patrol.

A bird flutters by and I watch it lazily. As it lands on a nearby wood pole I notice its interesting colors. Its chest, belly, head, and base of the wings are a deep, fiery red, which then melts into a light orange, which melts into a gold at the wing and tail tips. It's a foot and a half tall, with a sharp beak and talons.

Entry 1:
HfZnIrAu: simulated powder XRD pattern (a wavelength of 1.5418 Å), based on a cell relaxed with PBE.
No peak broadening, texture or thermal motion is included.

Cell and atoms:
Unit cell a=4.878 b=4.878 c=4.878 alpha=130.14 beta=130.14 gamma=73.18
Positions (direct):
Hf1 0.000 0.000 0.000
Zn1 0.500 0.500 0.000
Ir1 0.750 0.250 0.500
Au1 0.250 0.750 0.500

Principal peaks in the range 5° ≤ 2θ ≤ 70°, in order of rising 2θ:
d (Å)  2theta  Rel. int.
3.917  22.70  45
3.641  24.45  87
2.908  30.75  44
2.335  38.56  1000
2.056  44.04  345
1.959  46.36  149
1.821  50.10  24
1.790  51.01  25
1.454  64.04  114
1.418  65.86  209



Entry 2:
ScAg2Cl5: simulated powder XRD pattern (a wavelength of 1.5418 Å), based on a cell relaxed with PBE.
No peak broadening, texture or thermal motion is included.

Cell and atoms:
Unit cell a=6.152 b=6.845 c=6.847 alpha=80.20 beta=64.42 gamma=64.43
Positions (direct):
Sc1 0.000 0.000 0.000
Ag1 0.397 0.425 0.976
Ag2 0.397 0.976 0.425
Cl1 0.224 0.714 0.713
Cl2 0.367 0.023 0.023
Cl3 0.613 0.270 0.272
Cl4 0.927 0.261 0.717
Cl5 0.929 0.716 0.260

Principal peaks in the range 5° ≤ 2θ ≤ 70°, in order of rising 2θ:
d (Å)  2theta  Rel. int.
6.174  14.35  298
5.079  17.46  454
4.947  17.93  1000
4.323  20.54  265
3.326  26.80  242
3.292  27.09  783
2.638  33.98  351
2.522  35.59  264
2.203  40.97  478
2.159  41.84  412



Entry 3:
Ba6S5Br: simulated powder XRD pattern (a wavelength of 1.5418 Å), based on a cell relaxed with PBE.
No peak broadening, texture or thermal motion is included.

Cell and atoms:
Unit cell a=7.936 b=7.936 c=7.928 alpha=99.61 beta=99.61 gamma=119.98
Positions (direct):
Ba1 0.064 0.414 0.742
Ba2 0.238 0.238 0.259
Ba3 0.414 0.064 0.742
Ba4 0.586 0.936 0.258
Ba5 0.762 0.762 0.741
Ba6 0.936 0.586 0.258
S1 0.000 0.000 0.500
S2 0.167 0.833 0.000
S3 0.337 0.663 0.500
S4 0.663 0.337 0.500
S5 0.833 0.167 0.000
Br1 0.500 0.500 0.000

Principal peaks in the range 5° ≤ 2θ ≤ 70°, in order of rising 2θ:
d (Å)  2theta  Rel. int.
3.741  23.78  375
3.737  23.81  124
3.239  27.54  1000
2.290  39.34  733
1.953  46.50  241
1.870  48.70  254
1.619  56.86  117
1.486  62.48  71
1.485  62.55  25
1.448  64.31  317


Calculated XRD peak list of Pm4YAl2 for Cu Kα, from a cell relaxed with PBE.
Intensities are scaled so that the largest is 100.

Crystal structure
```
data_Pm4YAl2
_chemical_formula_sum 'Pm12 Y3 Al6'
_space_group_name_H-M_alt 'R -3 m'
_space_group_IT_number 166
_space_group_name_Hall '-R 3 2"'
_cell_length_a 5.3518
_cell_length_b 5.3518
_cell_length_c 24.3002
_cell_angle_alpha 90.00
_cell_angle_beta 90.00
_cell_angle_gamma 120.00
loop_
_atom_site_label
_atom_site_type_symbol
_atom_site_fract_x
_atom_site_fract_y
_atom_site_fract_z
_atom_site_occupancy
Pm1 Pm 0.0000 0.0000 0.0880 1
Pm2 Pm 0.0000 0.0000 0.3478 1
Y1 Y 0.0000 0.0000 0.5000 1
Al1 Al 0.0000 0.0000 0.2197 1
```

The 10 most intense peaks (2θ = 10–90°), low angle first:
2θ/deg  d/Å  I/Imax  (hkl)
10.9  8.100  15  0 0 3
24.2  3.685  32  1 0 4
Here the article continues

I narrow my eyes and it abruptly whips its head around and looks at me. Quickly turning my head, I pretend to be looking at something else. I hear wings flapping and look back to see the fiery bird flying away. I tilt my head and snort, "That was weird."

"What was?"

I nearly jump out of my scales in surprise and turn around to see Toothless and the gang at the base of the house. "Nothing." I leap down and playfully nudge Toothless.

"Good morning." Meatlug says. I yawn, "Mornin'." The riders climb onto their dragons (minus me). "Okay, are we all ready?" Hiccup asks. The riders say yes and the dragons roar.

"Let's start at Serpent's Rock." Astrid says. I crouch down and raise my wings. "Last one there's a rotten dragon!" I say quickly before launching myself into the air. "Hey!" Everybody immediately takes off after me.

Misplaced records of crystals
┌──
# 1
Simulated X-ray diffraction stick pattern
Compound: Nb3SnH2
Radiation: Cu Kα, 1.54184 Å
Structure: a crystal structure in the Materials Project, relaxed with PBE
Intensities are scaled so that the largest is 100.

Most intense lines, 2θ from 10° to 90°, most intense first:
36.80°, I 100; 40.44°, I 84; 32.81°, I 55; 63.74°, I 43; 40.53°, I 40; 61.18°, I 22; 63.89°, I 22; 36.88°, I 20; 80.58°, I 16; 68.82°, I 15

Crystal structure
Cell: 5.465 7.731 7.704 Å, 90.00 90.00 90.00°
Space group Ama2 (No. 40)
Unique sites:
Nb: 0.000 0.000 0.000
Nb: 0.250 0.124 0.363
Nb: 0.250 0.371 0.117
Sn: 0.250 0.251 0.744
H: 0.000 0.000 0.493
H: 0.250 0.376 0.370

***

# 2
Simulated X-ray diffraction stick pattern
Compound: NbVH4
Radiation: Cu Kα, 1.54184 Å
Structure: a crystal structure in the Materials Project, relaxed with PBE
Intensities are scaled so that the largest is 100.

Most intense lines, 2θ from 10° to 90°, most intense first:
35.25°, I 100; 40.93°, I 45; 70.87°, I 35; 59.27°, I 32; 74.54°, I 10; 20.14°, I 9; 28.63°, I 8; 88.74°, I 5; 46.02°, I 5; 50.71°, I 4

Crystal structure
Cell: 3.118 3.118 4.410 Å, 90.00 90.00 90.00°
Space group P4/mmm (No. 123)
Unique sites:
Nb: 0.000 0.000 0.000
V: 0.500 0.500 0.500
H: 0.000 0.500 0.273

***

# 3
Simulated X-ray diffraction stick pattern
Compound: NdH2
Radiation: Cu Kα, 1.54184 Å
Structure: a crystal structure in the Materials Project, relaxed with PBE
Intensities are scaled so that the largest is 100.

Most intense lines, 2θ from 10° to 90°, most intense first:
28.11°, I 100; 32.57°, I 49; 55.43°, I 45; 46.73°, I 39; 75.36°, I 18; 77.67°, I 16; 86.78°, I 13; 58.12°, I 13; 68.23°, I 6

Crystal structure
Cell: 5.498 5.498 5.498 Å, 90.00 90.00 90.00°
Space group Fm-3m (No. 225)
Unique sites:
Nd: 0.000 0.000 0.000
H: 0.250 0.250 0.250

***

# 4
Simulated X-ray diffraction stick pattern
Compound: NdH3
Radiation: Cu Kα, 1.54184 Å
Structure: a crystal structure in the Materials Project, relaxed with PBE
Intensities are scaled so that the largest is 100.

Most intense lines, 2θ from 10° to 90°, most intense first:
29.76°, I 100; 25.77°, I 33; 47.99°, I 28; 54.58°, I 25; 26.74°, I 22; 47.23°, I 20; 37.48°, I 18; 56.82°, I 16; 76.92°, I 13; 73.67°, I 10

Crystal structure
Cell: 6.6666 6.6666 6.9138 Å, 90.00 90.00 120.00°
Space group P-3c1 (No. 165)
Unique sites:
Nd: 0.0000 0.3362 0.2500
H: 0.0000 0.0000 0.2500
H: 0.0250 0.3470 0.9057
H: 0.3333 0.6667 0.1798

***

# 5
Simulated X-ray diffraction stick pattern
Compound: NdNiSnH2
Radiation: Cu Kα, 1.54184 Å
Structure: a crystal structure in the Materials Project, relaxed with PBE
Intensities are scaled so that the largest is 100.

Most intense lines, 2θ from 10° to 90°, most intense first:
31.56°, I 100; 41.07°, I 49; 60.63°, I 30; 52.70°, I 24; 68.90°, I 21; 42.56°, I 14; 71.02°, I 10; 74.83°, I 9; 25.64°, I 6; 89.11°, I 6

Crystal structure
Cell: 4.3956 4.3956 8.4965 Å, 90.00 90.00 120.00°
Space group P6_3/mmc (No. 194)
Unique sites:
Nd: 0.0000 0.0000 0.0000
└──

In about thirty seconds Stormfly, Toothless, and I are in the lead with Hookfang at our tails. Barf Belch and Meatlug are trailing a bit away.

"Better luck next time, Toothless." I say, "Female Night Furies are built for speed." Flattening my wings to my body, I zoom forward a bit as I say, "speed". He looks at me and playfully growls. "You're better in battle, honey." He gives me a mischievous dragon grin, "Flying is my thing."

I roll my eyes, "You keep dreaming," and flap my wings harder.

Suddenly, Stormfly interrupts, "You both keep dreaming because you're about to eat my wind!" She rockets forward, sending her "wind" into our faces. We glance at each other and start flying after her.

Toothless starts to go a bit ahead of me, but I have my secret weapon. Tilting my wings, I start flapping my wings downward, giving me an extra boost with each flap. It makes me go faster, but it uses more energy. Whatever, we're almost at Serpent's Rock anyways.

I speed past Toothless and he stares at me with wide eyes. Meanwhile, Hiccup and Astrid are yelling taunts at each other.

Stormfly grows bigger as I fly closer and closer. Soon, I'm right next to her hind legs. "Wha?" she looks back at me with surprise, "How'd you catch up so fast?"

Smirking, I say sassily, "I've got my secrets and you've got yours." Stormfly narrows her eyes at me, but I'm not looking at her now. Serpent's Rock is about ten Night Fury lengths away.

I fly faster and that's when Stormfly sees it too. Unexpectedly, she whizzes past me with great speed and raises her legs for landing. Three… two… one… Stormfly wins. "Aww." I growl and land next to her. Unfortunately, I was going too fast and I skid across the large mountain of rock, trying to dig my claws in and stop.

Pain shoots up my leg as I stub my claw on a rock and I fall forward, landing only an inch away from the edge. Stormfly leaps to my side, "Are you okay, Raven?"

She helps me sit up and I lick my paw. The rock had nearly split my claw in half. Still throbbing after I lick it, I try to put some weight on my paw. It hurts, but no that much. It's mainly my claw.

Toothless lands a few moments later. "Are you okay, Raven? I saw you skidding across the rock."

I wave my paw in front of his face. "I think you can figure out what happened. But don't worry," I say when he gives me a worried look, "I can still fly."

He purrs and nuzzles my cheek. Soon, the others catch up and it's getting a little squished on the rock.

"Let's get this over with already," Snotlout says, "I have other things to do."

"Sure you do." Hookfang mutters and I snort. "Alright, alright," Hiccup says, "You and the twins take the east of Berk. Fishlegs and I will take the west. Astrid, you take Raven and check the sea."

I wink at Stormfly and say, "You and me, Storm." She rolls her eyes, "You're so weird." I snicker and the others take off, splitting up and flying in different directions. "See ya later, Raven." Toothless says. I say goodbye and flap my wings.

We fly high so we are able to see what's on surface of the water. Once we're out of ear shot, Stormfly sparks up a conversation, "So, you thinking of having baby Night Furies on Berk?"

My wings go stiff for a moment before answering, "You know I haven't." Astrid doesn't pay any mind to us and starts looking around for anything odd.

"Well, ya know," Stormfly stutters, "Night Furies are endangered. And the rest of the gang has kids. My oldest, Zahar, is learning how to fly."

I look down. "I don't want to talk about this. I don't think I'm ready anyways." I mumble. Stormfly gazes at me affectionately and says, "You'll never think you're ready. I didn't think I was, but it just happened."

Suddenly, Astrid calls for the others. I give her a confused glance and look ahead. There's a large boat with a lot of cargo sailing towards Berk. "Trader Johann!" Stormfly exclaims.

In a few moments, the gang is speeding towards us. Puzzled, I fly towards Toothless. "Who's Trader Johann?" I ask as the Vikings talk feverishly.

"He's a human that sails around the world, trading stuff to the people on Berk and other islands. The thing is, he never comes so early."

Hiccup commands Toothless to fly down to the boat. We all follow them. They land, but Hiccup tells us to stay in the air. I see a man with a dark brown beard and mustache walk up to them. "Trader Johann," Hiccup says, "you've come early."

Trader Johann, looking shaken, says, "I need to speak with Stoick." Hiccup nods and Toothless launches into the air. We gather behind the sails and flap our wings to create strong winds that blow the ship faster to the island.

# 1
Computed X-ray powder pattern
Compound: Pm4Dy5Th2
Radiation: Cu Ka
Structure: a DFT-relaxed cell (GGA-PBE, Alexandria)
No peak broadening, texture or thermal motion is included.

Cell and atoms:
```
Pm4Dy5Th2
1.0
-1.750 5.794 9.194
1.750 -5.794 9.194
1.750 5.794 -9.194
Pm Dy Th
4 5 2
direct
0.091 0.091 0.000
0.235 0.500 0.735
0.765 0.500 0.265
0.909 0.909 0.000
0.029 0.320 0.709
0.389 0.680 0.709
0.500 0.000 0.500
0.611 0.320 0.291
0.971 0.680 0.291
0.298 0.298 0.000
0.702 0.702 0.000
```

Main lines, in order of rising 2θ (10° ≤ 2θ ≤ 90°):
2θ 25.41, rel. 61
2θ 29.39, rel. 51
2θ 30.23, rel. 96
2θ 30.87, rel. 80
2θ 33.07, rel. 41
2θ 33.65, rel. 100
2θ 34.59, rel. 65
2θ 35.41, rel. 94
2θ 47.67, rel. 53
2θ 61.99, rel. 41



# 2
Computed X-ray powder pattern
Compound: Pm12DyTh5
Radiation: Cu Ka
Structure: a DFT-relaxed cell (GGA-PBE, Alexandria)
No peak broadening, texture or thermal motion is included.

Cell and atoms:
```
Pm12DyTh5
1.0
3.142 -5.443 0.000
3.142 5.443 0.000
-2.089 0.000 17.699
Pm Dy Th
12 1 5
direct
0.053 0.390 0.162
0.113 0.113 0.337
0.220 0.554 0.661
0.283 0.283 0.838
0.390 0.053 0.162
0.446 0.780 0.339
0.554 0.220 0.661
0.610 0.947 0.838
0.717 0.717 0.162
0.780 0.446 0.339
0.887 0.887 0.663
0.947 0.610 0.838
0.000 0.000 0.000
0.166 0.834 0.500
0.333 0.667 0.000
0.500 0.500 0.500
0.667 0.333 0.000
0.834 0.166 0.500
```

Main lines, in order of rising 2θ (10° ≤ 2θ ≤ 90°):
2θ 29.21, rel. 33
2θ 29.65, rel. 68
2θ 30.30, rel. 77
2θ 30.80, rel. 25
2θ 31.50, rel. 100
2θ 33.13, rel. 92
2θ 36.06, rel. 37
2θ 50.30, rel. 59
2θ 59.85, rel. 69
2θ 84.70, rel. 25



# 3
Computed X-ray powder pattern
Compound: Pm2Dy5Th
Radiation: Cu Ka
Structure: a DFT-relaxed cell (GGA-PBE, Alexandria)
No peak broadening, texture or thermal motion is included.

Cell and atoms:
```
Pm2Dy5Th
1.0
7.135 0.000 0.000
0.000 14.300 0.000
0.000 0.000 5.074
Pm Dy Th
4 10 2
direct
0.247 0.123 0.000
0.253 0.623 0.000
0.747 0.377 0.000
0.753 0.877 0.000
0.000 0.500 0.500
0.004 0.249 0.500
0.242 0.877 0.000
0.258 0.377 0.000
0.496 0.749 0.500
0.500 0.000 0.500
0.504 0.251 0.500
0.742 0.623 0.000
0.758 0.123 0.000
0.996 0.751 0.500
0.000 0.000 0.500
0.500 0.500 0.500
```

Main lines, in order of rising 2θ (10° ≤ 2θ ≤ 90°):
2θ 30.61, rel. 100
2θ 35.38, rel. 17
2θ 35.55, rel. 34
2θ 51.04, rel. 30
2θ 51.21, rel. 6
2θ 60.57, rel. 15
2θ 60.80, rel. 28
2θ 63.73, rel. 12
2θ 83.19, rel. 12
2θ 86.00, rel. 8



# 4
Computed X-ray powder pattern
Compound: Pm2DyTm4Th
Radiation: Cu Ka
Structure: a DFT-relaxed cell (GGA-PBE, Alexandria)
No peak broadening, texture or thermal motion is included.

Cell and atoms:
```
Pm2DyTm4Th
1.0
5.054 0.000 0.000
0.000 5.054 0.000
0.000 0.000 9.882
Pm Dy Tm Th
2 1 4 1
direct
0.000 0.000 0.000
0.500 0.500 0.500
0.000 0.000 0.500
0.000 0.500 0.247
0.000 0.500 0.753
0.500 0.000 0.247
0.500 0.000 0.753
0.500 0.500 0.000
```

Main lines, in order of rising 2θ (10° ≤ 2θ ≤ 90°):
2θ 30.88, rel. 100
2θ 35.52, rel. 35
2θ 36.37, rel. 16
2θ 51.12, rel. 12
[End of the records of crystals]

Once we reach the dock, the Vikings help him tie the boat to a pole. I sit down but suddenly, I see a flash of orange and whirl around. The fiery bird from earlier in the morning is perched on a basket of fish. It stares at me and I stare back. "What are you?" I mutter low enough so the others can't hear me.

The bird ruffles its feathers and flashes its colors. A few small flames flicker at its wing tips and I pull my head up in surprise, "Phoenix?"

The bird shrills a short tune and flutters towards me. I stare in confusion as it lands in front of me and sheds a few tears onto my cracked claw. Immediately, the crack seals up and heals completely. The pain fades away and the phoenix looks up at me. "Thanks." I breathe in amazement.

My ears perk up at the sound of heavy footsteps and I lift my head to see Stoick and Gobber walking towards us. But when I look back at the phoenix, all I see is an empty space where it was.

"What's wrong, Trader Johann?" Stoick asks. Trader Johann looks at him with wide, worried eyes, "Th-the Outcasts. They've trained dragons."